How To Get Companies To Use You As A Recruiter

As a freelance recruiter, one of the most significant challenges you face is attracting companies to hire your services. Without the extensive network and brand recognition of larger recruitment firms, it’s essential to use a variety of strategies to gain clients. This post will explore effective methods, with a focus on cold emailing, to help you get companies to hire you as their recruiter.

Understanding Company Needs

Researching Target Companies

Before approaching potential clients, it’s crucial to understand their business, industry, and specific recruitment needs. Use LinkedIn, company websites, industry reports, and news articles to gather information about the companies you’re targeting. Pay attention to their growth patterns, recent hiring trends, and any public statements about expansion or restructuring.

Identifying Pain Points and Recruitment Needs

Once you have a list of target companies, identify their recruitment pain points. Are they struggling to fill specific roles? Do they have high turnover rates? Tailor your approach to address these issues directly. Showing that you understand their challenges and have solutions can make your pitch more compelling.

Building a Strong Online Presence

Creating a Professional Website

A well-designed, professional website is essential for establishing credibility. Your website should include an overview of your services, success stories, testimonials from past clients, and a blog where you share insights about recruitment trends and best practices.

Leveraging LinkedIn and Other Social Media Platforms

LinkedIn is a powerful tool for recruiters. Regularly update your profile with your achievements, share relevant content, and engage with industry leaders. Join LinkedIn groups related to your industry to expand your network. Use other social media platforms like Twitter and Facebook to increase your visibility and connect with potential clients.

(1)
C10H30BrN6O4 | ωB97M-V with the def2-TZVPD basis set

Its HOMO-LUMO gap is 8.21 eV. Its HOMO energy is -0.1917 Eh. The spin multiplicity is 1. The relative energy (zero: lowest compared OMol25 entry of this formula, charge and spin) comes out at 89.84 kcal per mole. As for the net charge: -1.

Atoms and positions in Å:
Br -0.564435 -2.008791 -1.073628
C 2.117857 -1.111931 -4.246014
O 2.615188 -0.799001 -5.290904
N 2.666051 -0.904845 -3.123324
N 0.891700 -1.403680 -4.113433
H 2.254609 -1.262685 -2.273167
H 3.553926 -0.453111 -3.289804
H 0.293044 -1.335473 -4.924034
H 0.486486 -1.609808 -3.211537
C -0.562679 2.082661 -1.544349
O -0.512497 1.906980 -0.370934
N -0.902564 1.181272 -2.426394
N -0.488114 3.185769 -2.177928
H -1.034881 0.267364 -2.017281
H -0.712923 1.344848 -3.404845
H -0.485859 3.191675 -3.187909
H -0.075859 3.980490 -1.710415
C -3.996916 -0.198186 0.212218
C -3.453412 -0.263498 1.661073
C -3.959293 -1.565642 2.429797
O -3.393128 -1.672085 3.768570
C -3.771326 -0.633214 4.604233
N -2.029721 -0.242923 1.693250
H -4.369547 -1.125836 -0.222194
H -3.207671 0.112096 -0.472549
H -4.711846 0.606827 0.042122
H -3.889386 0.612257 2.141790
H -3.845621 -2.537650 1.949821
H -5.035394 -1.641508 2.585813
H -3.637452 0.415706 4.339735
H -3.196930 -0.739679 5.524474
H -4.823511 -0.554908 4.877856
H -1.971141 -0.559106 2.650689
H -1.739844 -1.064242 1.181879
C 3.237524 -1.475228 1.275042
C 2.537584 -0.090728 1.045781
C 2.686909 0.665260 -0.307331
O 3.016932 2.028453 0.006572
C 4.335210 2.352090 -0.203380
N 1.148190 -0.191848 1.399397
H 2.942100 -2.336174 0.675391
H 3.279999 -1.893670 2.280631
H 4.276743 -1.283471 1.007925
H 2.919246 0.581092 1.814604
H 1.702924 0.658937 -0.776214
H 3.393597 0.101954 -0.916740
H 4.598637 2.660054 -1.215246
H 5.005164 1.528891 0.044837
H 4.473597 3.141794 0.535077
H 1.098158 -0.888724 2.128758
H 0.840576 -0.758822 0.622218

Cartesian forces (eV/Å) of the 3 atoms listed first:
0.1 -0.2 -0.2
-0.6 1.3 -2.2
2.0 0.5 -3.4

=====

(2)
C10H30BrNO6P | ωB97M-V with the def2-TZVPD basis set

Its HOMO-LUMO gap is 5.46 eV. Its HOMO energy is -0.1333 Eh. The spin multiplicity is 1. As for the net charge: -1.

Atoms and positions in Å:
N 2.522958 0.450253 -0.262385
C 2.856904 0.852206 -1.636407
C 2.285842 2.211079 -2.070611
C 1.884287 3.169416 -0.961733
P 0.129306 2.730907 -0.286315
Br 0.124413 4.803900 0.981906
C -1.682911 2.354551 0.317521
C -2.317029 1.418010 -0.649347
C -2.229837 0.024030 -0.495118
C -2.785100 -0.807776 -1.455667
C -3.426636 -0.271150 -2.566409
C -3.519507 1.103770 -2.726984
C -2.964868 1.947033 -1.771571
H 3.086513 -0.356952 -0.024939
H 1.572276 0.098788 -0.260085
H 3.944735 0.911283 -1.679794
H 2.569797 0.062016 -2.338437
H 1.430455 2.042994 -2.725687
H 3.048366 2.667729 -2.706885
H 2.602100 3.177492 -0.146799
H 1.781615 4.148389 -1.423201
H 0.675856 2.091715 0.883886
H 0.129087 1.471473 -1.007986
H -0.452715 3.458639 -1.414059
H -1.658760 1.898673 1.297653
H -2.267787 3.269535 0.325311
-- The calculated molecules stop here --

Showcasing Testimonials and Case Studies

Testimonials from satisfied clients and detailed case studies of successful placements can significantly boost your credibility. Highlight specific achievements, such as reduced hiring times or successful placements in challenging roles, to demonstrate your expertise and effectiveness.

Networking and Referrals

Attending Industry Events and Conferences

Industry events and conferences are excellent opportunities to meet potential clients. Attend as many as possible, participate in discussions, and exchange business cards. Follow up with the contacts you make to keep the conversation going.

Building Relationships with HR Professionals and Decision-Makers

Developing strong relationships with HR professionals and decision-makers can lead to more job opportunities. Reach out to them on LinkedIn, offer to meet for coffee, and show genuine interest in their work. Building these relationships takes time, but it can pay off significantly in the long run.

Asking for Referrals from Existing Clients

Satisfied clients are often happy to refer you to others. Don’t hesitate to ask for referrals and recommendations. You can offer incentives, such as a discount on future services, to encourage referrals.

Cold Emailing

Crafting Effective Cold Emails

Cold emailing is a powerful tool for reaching out to potential clients. Start with a compelling subject line to grab attention. Keep your email concise and to the point, highlighting your unique value proposition and how you can solve their recruitment problems.

Personalizing Your Outreach

Personalization is key to a successful cold email. Address the recipient by name, mention specific details about their company, and explain how your services can meet their unique needs. Avoid generic emails, as they are more likely to be ignored.

Following Up Strategically

~~~
{
  "formula": "C47H58BF2NO8SeTa",
  "method": "the ωB97M-V functional and the def2-TZVPD basis",
  "species": ["Ta", "C", "O", "C", "C", "C", "C", "C", "C", "C", "C", "C", "C", "C", "C", "C", "C", "C", "C", "C", "C", "C", "C", "C", "C", "C", "C", "C", "C", "C", "C", "C", "C", "O", "C", "C", "C", "C", "C", "O", "C", "C", "C", "C", "C", "C", "O", "C", "C", "C", "C", "H", "H", "H", "H", "H", "H", "H", "H", "H", "H", "H", "H", "H", "H", "H", "H", "H", "H", "H", "H", "H", "H", "H", "H", "H", "H", "H", "H", "H", "H", "H", "H", "H", "H", "H", "H", "H", "H", "H", "H", "H", "H", "H", "H", "H", "H", "H", "H", "H", "H", "H", "H", "H", "H", "H", "H", "H", "H", "O", "O", "F", "B", "F", "Se", "C", "N", "O", "O"],
~~~

Following up is crucial if you don’t get a response to your initial email. Wait a few days before sending a follow-up email, and keep it short and polite. Reiterate your offer and provide any additional information that might be helpful. Persistence is important, but avoid being too pushy.

Offering Free Value

Providing Free Consultations or Assessments

Offering a free consultation or assessment can be a great way to demonstrate your expertise and build trust with potential clients. Use this opportunity to showcase your knowledge and provide valuable insights into their recruitment needs.

Sharing Valuable Content and Resources

Regularly sharing valuable content, such as blog posts, whitepapers, or industry reports, can position you as an expert in your field. This can attract potential clients who are looking for knowledgeable and reliable recruiters.

Hosting Webinars or Workshops

Hosting webinars or workshops on recruitment topics can help you reach a broader audience and establish yourself as a thought leader. Invite industry experts to speak, and offer practical advice that attendees can implement immediately.


Attracting companies to hire you as their recruiter requires a multi-faceted approach. By understanding company needs, building a strong online presence, networking effectively, crafting personalized cold emails, and offering free value, you can significantly increase your chances of securing new clients. Implement these strategies to enhance your freelance recruiting business and build lasting professional relationships.